Dear parents,
Materials data, kept here for reference >
____________
w | 8
Lattice="3.066 0.000 0.000 0.000 8.002 0.000 0.000 0.000 5.709" Properties=species:S:1:pos:R:3 comment="GGA-PBE SnAsOsO, optimized geometry" vol_a3_per_atom=17.51 pbc="T T T"
Sn 0.000 0.701 0.000
Sn 0.000 7.301 2.854
As 0.000 2.543 2.735
As 0.000 5.458 5.589
Os 1.533 3.980 4.175
Os 1.533 4.022 1.320
O 1.533 2.498 5.614
O 1.533 5.504 2.760

---

x | 8
Lattice="4.187 0.000 0.000 0.000 4.187 0.000 0.000 0.000 8.346" Properties=species:S:1:pos:R:3 comment="GGA-PBE SnAsOsO, optimized geometry" vol_a3_per_atom=18.29 pbc="T T T"
Sn 1.047 3.140 0.000
Sn 3.140 1.047 0.000
As 1.047 1.047 2.241
As 3.140 3.140 6.105
Os 1.047 1.047 4.668
Os 3.140 3.140 3.678
O 1.047 3.140 4.173
O 3.140 1.047 4.173

---

y | 8
Lattice="3.783 0.000 0.000 0.000 8.590 0.000 0.000 0.000 4.845" Properties=species:S:1:pos:R:3 comment="GGA-PBE SnAsOsO, optimized geometry" vol_a3_per_atom=19.68 pbc="T T T"
Sn 0.000 0.734 0.000
Sn 0.000 7.856 2.422
As 1.891 2.554 4.726
As 1.891 6.036 2.303
Os 1.891 3.466 2.309
Os 1.891 5.123 4.732
O 0.000 3.400 2.307
O 0.000 5.189 4.729

---

From most stable to least stable, the computed energies give w, y, x.

---

w | 8
Lattice="4.046 0.000 0.000 0.000 4.046 0.000 0.000 0.000 8.853" Properties=species:S:1:pos:R:3 comment="GGA-PBE TlAsOsO, optimized geometry" vol_a3_per_atom=18.12 pbc="T T T"
Tl 1.012 1.012 1.093
Tl 3.035 3.035 7.760
As 1.012 1.012 5.895
As 3.035 3.035 2.958
Os 1.012 3.035 4.427
Os 3.035 1.012 4.427
O 1.012 3.035 0.000
O 3.035 1.012 0.000

---

x | 8
Lattice="4.135 0.000 0.000 0.000 4.135 0.000 0.000 0.000 8.690" Properties=species:S:1:pos:R:3 comment="GGA-PBE TlAsOsO, optimized geometry" vol_a3_per_atom=18.58 pbc="T T T"
Tl 1.034 3.101 0.000
Tl 3.101 1.034 0.000
As 1.034 1.034 2.586
As 3.101 3.101 6.104
Os 1.034 1.034 5.019
Os 3.101 3.101 3.671
O 1.034 3.101 4.345
O 3.101 1.034 4.345

---

y | 8
Lattice="3.723 0.000 0.000 0.000 7.743 0.000 0.000 0.000 5.990" Properties=species:S:1:pos:R:3 comment="GGA-PBE TlAsOsO, optimized geometry" vol_a3_per_atom=21.58 pbc="T T T"
Tl 0.000 0.597 0.000
Tl 0.000 7.146 2.995
As 1.861 2.822 4.733
As 1.861 4.921 1.739
Os 1.861 2.594 2.344
Os 1.861 5.149 5.339
O 0.000 2.452 2.227
O 0.000 5.291 5.222

---

From most stable to least stable, the computed energies give y, w, x.

---

w | 8
Lattice="4.318 0.000 0.000 0.000 4.581 0.000 0.000 0.000 6.464" Properties=species:S:1:pos:R:3 comment="GGA-PBE TmAsOsO, optimized geometry" vol_a3_per_atom=15.98 pbc="T T T"
Tm 0.000 1.025 0.000
Tm 0.000 3.555 3.232
As 2.159 0.719 4.466
As 2.159 3.862 1.234
Os 2.159 1.562 2.193
Os 2.159 3.019 5.425
O 0.000 1.739 2.045
O 0.000 2.841 5.277

---

x | 8
Lattice="4.122 0.000 0.000 0.000 5.931 0.000 0.000 0.000 5.689" Properties=species:S:1:pos:R:3 comment="GGA-PBE TmAsOsO, optimized geometry" vol_a3_per_atom=17.38 pbc="T T T"
Tm 0.000 1.147 0.000
Tm 0.000 4.784 2.844
As 0.000 1.836 2.735
As 0.000 4.095 5.580
Os 2.061 2.939 1.163
Os 2.061 2.992 4.007
O 2.061 1.398 5.342
O 2.061 4.533 2.498

---

y | 8
____________
So much for the materials data >
Mr Barry's class are collecting Aldi Rugby tokens again this year. Please hand in tokens to the School Office if you have any.
Yesterday, almost 80 grandparents of children in Junior and Senior Infants were our guests as we celebrated Grandparents Day. Thanks to Ms Keyes, Ms Neville and Mrs Fitzgerald who organised the event. Fr Mike started events with a short Prayer Service.
On Monday, Gillian from School Fitness Ireland paid her last visit to Balybrown NS for the moment as the four week module on gymnastics came to an end. The children really enjoyed the experience.
Our best wishes to the two quiz teams from the school who have qualified for the County Final of the Community Games quiz tonight. This is a great achievement.
Confirmation volunteers - The Parents Association are seeking parents from 3rd and 4th classes to volunteer for the teas/coffees for the Confirmation. This will be held on Tuesday 18Th February @ 10.30 - volunteers are required for approx 90 minutes from 11.30-1pm. Please contact Emma Harris on 085-1134368 if you can help.
Ballybrown/Clarina Community Games – Upcoming events
Handwriting – U10 and U12 Boys & Girls
Anyone interested in taking part in the Handwriting competition can you please complete an eight line poem of your choice (e.g. The Daffodils) and drop it into the Resource Centre next Wednesday 12th February. Winners will be announced Thursday and the Limerick County Final in on Saturday 15th February.
Art Competition - U8, U10, U12, U14 & U16 Boys & Girls
Anyone interested in taking part in the Art competition can you please complete a picture of your choice and drop it into the Resource Centre next Wednesday 12th February. Winners will be announced Thursday and the Limerick County Final in on Saturday 15th February.
Art Titles U12, U14 & U16 – Badminton, MiniRubgy, Choir, Outdoor Soccer, Table Tennis, Chess, One Wall Handball, Skittles, Gaelic Football or Quiz.
Art Titles U8 & U10 – Any Community Games activity.
Swimming B Competition Sunday 1st March 2020 – Askeaton Pool from 4-6pm
Swimming A competition Sunday 15thMarch 2020 – Askeaton Pool from 4-6pm
Contact Pauline Lowe on 087 8365545 or Aine Moran on 086 2070889 if you have any interest in the above events. Check out our facebook page for more details https://www.facebook.com/ballybrownclarinacommunitygames/?ref=bookmarks
Ballybrown Camogie Club will be taking 2020 registrations for U8s,U10s,
U12s and U13s age group on Friday 8th Feb between 8p.m. and 9.30 p.m.at Ballybrown G.A.A. Clubhouse. Contact us through our Ballybrown Camogie club Facebook page. New members are most welcome including any older
sisters. Contact: Lauretta Keyes Secretary Ballybrown Camogie Club. 086-8052507.
Gach dea-ghuí,
J. Lyons